Earth is a planet which is home to different kinds of animals and plants that give human the existence to live and survive in many ways. Man is the only component who can save and take good care of these living creatures needed for the cycle of life. Instead of taking good care of  our planet, man’s existence results to the havoc of the ecosystem from daily activities that damage the environment such as cutting down of trees, throwing  garbage in the river etc.. Thus only man can stop the continuous destruction of the environment.  The balance of life can be only maintained and restored by the cooperation of every human in different campaigns and organization in saving the environment.

 The teacher plays a pivotal role in environmental education and institutional greening. It does not only provide information and develop skills, but more importantly, build values, attitudes, life styles, and behavior among students. Teachers must assume tasks and responsibilities appropriate to this objective. If every member of the school will cooperate they can achieve the wonders of 3R’s and truly make a difference to the Earth’s health. The Department of Education has a lot of programs that have been implemented in schools like Zero Waste Management, War on Waste etc., but then there are still problems encountered which can be observed when you try to look at the trash can/box for biodegradable and non-biodegradable. Still they are not properly segregated specially when there are events in school, you can still see a lot of garbage in the ground which implies that there is really an existing problem.

Misplaced materials data.
********
BeTeOs2 (PBE, relaxed); volume = 15.50 Å³/atom; energy relative to the elements, uncorrected = 90.2 kJ per mole of atoms; density of states at the Fermi level = 1.09 states/eV/atom; offset from the most stable computed form = 476 meV/atom
1.0
4.443 0.000 0.000
2.221 3.848 0.000
2.221 1.283 3.628
Os Te Be
2 1 1
direct
0.250 0.250 0.250
0.000 0.000 0.000
0.750 0.750 0.750
0.500 0.500 0.500

----------

(1)
Below is an optimized crystal structure of KSrGeSb2, with properties calculated at the PBE level. Values from VASP.

The structure in Quantum ESPRESSO input format:
```
&SYSTEM
  ibrav = 0, nat = 5, ntyp = 4
/
ATOMIC_SPECIES
K 39.10 K.upf
Sr 87.62 Sr.upf
Ge 72.64 Ge.upf
Sb 121.76 Sb.upf
CELL_PARAMETERS angstrom
6.038 0.000 0.000
0.000 6.038 0.000
0.000 0.000 6.060
ATOMIC_POSITIONS crystal
K 0.000 0.000 0.000
Sr 0.000 0.000 0.500
Ge 0.500 0.500 0.000
Sb 0.000 0.500 0.500
Sb 0.500 0.000 0.500
```

Output
Energy relative to the elements, uncorrected (meV/atom): 686
VASP energy (eV/cell): -12.21
Spin magnetization (μB/atom): 0.1591

(2)
Below is an optimized crystal structure of TlCd2Bi2, with properties calculated at the PBE level. Values from VASP.

The structure in Quantum ESPRESSO input format:
```
&SYSTEM
  ibrav = 0, nat = 10, ntyp = 3
/
ATOMIC_SPECIES
Tl 204.38 Tl.upf
Cd 112.41 Cd.upf
Bi 208.98 Bi.upf
CELL_PARAMETERS angstrom
9.158 0.000 0.000
0.000 9.158 0.000
0.000 0.000 3.540
ATOMIC_POSITIONS crystal
Tl 0.000 0.000 0.000
Tl 0.500 0.500 0.000
Cd 0.127 0.373 0.000
Cd 0.373 0.873 0.000
Cd 0.627 0.127 0.000
Cd 0.873 0.627 0.000
Bi 0.170 0.670 0.500
Bi 0.330 0.170 0.500
Bi 0.670 0.830 0.500
Bi 0.830 0.330 0.500
```

Output
Energy relative to the elements (eV/atom): 0.0401
VASP energy (eV/cell): -23.52
ΔE to the lowest computed polymorph (eV per atom): 0.033
Spin magnetization (μB/atom): 0.0000

spin magnetization of number 1 (KSrGeSb2)?
0.1591 μB/atom

Look up the VASP energy of the second one.
-23.52 eV/cell
********

A Solid Waste Management Model (SWMM) can be a great solution to address the problems encountered by every individual in the school. It will undergo such process to be approved by the expert authorities from the agencies of government with prior knowledge about the SWMM. This can be very helpful to schools and can vastly reduce amounts of garbage ending up in landfill.

-- begin --
(1)
6
Lattice="-1.1105 -4.9502 -3.7547 -2.2448 -2.2432 1.8399 -7.5152 4.7079 0.3289" Properties=species:S:1:pos:R:3 comment="PrSm4Co, optimized geometry, DFT PBE-GGA" total_energy_ev_per_atom=-5.111 vol_a3_per_atom=29.701 formation_enthalpy_0k_mev_per_atom=16 total_magnetization_mub_per_atom=0.000 polymorph_energy_ev_per_atom=0.015 pbc="T T T"
Pr 0.0000 0.0000 0.0000
Sm -2.3721 -2.0545 -1.7718
Sm -3.5681 0.5798 0.0393
Sm -7.3025 -3.0652 -1.6252
Sm -8.4984 -0.4309 0.1859
Co -5.4353 -1.2427 -0.7929

(2)
4
Lattice="0.0000 3.2025 3.2025 3.2025 0.0000 3.2025 3.2025 3.2025 0.0000" Properties=species:S:1:pos:R:3 comment="Ta2TeO, optimized geometry, DFT PBE-GGA" total_energy_ev_per_atom=-7.818 vol_a3_per_atom=16.422 total_magnetization_mub_per_atom=0.000 polymorph_energy_ev_per_atom=0.489 formation_energy_uncorrected_mev_per_atom=133 pbc="T T T"
Te 3.2025 3.2025 3.2025
O 0.0000 0.0000 0.0000
Ta 1.6012 1.6012 1.6012
Ta 4.8037 4.8037 4.8037

(3)
15
Lattice="-5.0405 2.1637 6.0875 7.6466 -2.4352 1.6819 -0.8154 8.6720 -3.7574" Properties=species:S:1:pos:R:3 comment="Rb3Np3RhSe8, optimized geometry, DFT PBE-GGA" total_energy_ev_per_atom=-6.181 vol_a3_per_atom=31.879 total_magnetization_mub_per_atom=0.735 formation_energy_uncorrected_mev_per_atom=-1051 pbc="T T T"
Rb 0.0000 0.0000 0.0000
Rb 3.8233 -1.2176 0.8410
Rb 1.3030 -0.1358 3.8847
Np -2.9280 5.4179 1.1651
Np 0.8954 4.2003 2.0060
Np 3.4156 3.1184 -1.0378
Rh -0.4077 4.3360 -1.8787
Se 2.4909 1.8842 1.3928
Se -0.7002 6.5163 2.6192
Se 0.1483 3.0764 4.5444
Se 1.6424 5.3241 -0.5324
Se -3.9639 4.3858 3.6397
Se 5.7546 4.0147 0.3724
Se -1.2535 3.2224 0.3663
Se 3.0442 5.1781 3.6458

(4)
10
Lattice="3.9955 -0.0020 0.0032 -2.0018 8.9653 0.6224 0.0101 -2.8366 8.7630" Properties=species:S:1:pos:R:3 comment="La3TeH, optimized geometry, DFT PBE-GGA" total_energy_ev_per_atom=-4.879 vol_a3_per_atom=32.093 total_magnetization_mub_per_atom=0.000 polymorph_energy_ev_per_atom=0.055 pbc="T T T"
La 0.0032 1.2102 5.8235
La 1.9929 2.7831 0.2504
La 0.0028 -0.3869 1.8238
La 2.0006 4.9165 3.5651
La 2.0010 6.5136 7.5648
La 0.0110 3.3436 9.1382
Te 0.0020 4.4238 6.0607
Te 2.0018 1.7028 3.3279
H 0.0062 -0.2200 7.6987
H 1.9976 6.3467 1.6899

(5)
11
Lattice="-2.0807 4.3674 1.4205 -6.0819 -2.4114 -1.4946 2.5313 -4.1284 7.4525" Properties=species:S:1:pos:R:3 comment="Er8Pd2Ru, optimized geometry, DFT PBE-GGA" total_energy_ev_per_atom=-5.547 vol_a3_per_atom=25.091 formation_enthalpy_0k_mev_per_atom=-441 total_magnetization_mub_per_atom=0.000 polymorph_energy_ev_per_atom=0.000 pbc="T T T"
Er -2.1949 -2.9450 5.8395
Er -6.4424 -0.7920 1.9465
Er -4.3317 -0.6419 4.5767
Er -0.9011 -0.1388 8.0548
Er -1.2996 -1.5304 2.8017
Er 0.8111 -1.3804 5.4320
Er -3.4364 0.7726 1.5390
Er -4.7303 -2.0336 -0.6763
Pd -1.8569 0.2732 5.3879
Pd -3.7744 -2.4456 1.9906
Ru -1.0404 2.1837 0.7103

(6)
3
-- stop --

Masbate is a province known for promoting environmental programs in saving nature biodiversity and very active in implementing environmental programs. One of its concerns is the Waste Management. The city approved the policy for No to Plastic Bags on November 4, 2011 wherein the vendors are not allowed to use plastic bags for their packaging. In this case the customer/buyer are obliged to bring their own plastics/sacks or anything that can be used in holding goods. Most of the vendors are using newspapers in packaging dry goods.

In schools the teachers are encouraged to have their own trash box/can inside the classroom for different kinds of solid waste. There are steel trash box scattered in the city wherein the people will throw their garbage. It is collected everyday but still it is not enough to eradicate the growing garbage for its growing population. It is believed that having a Material Recovery Facility or MRF would be the best solution for this problem since all the garbage collected are all in the dump sites. Schools can have its own MRF to lessen the garbage collected to strengthen and widen the awareness of the people in finding better ways to protect our environment.


Published and Owned by: Jhonmark D. Barruga